• Contents:
........
{"formula": "C4H12O2", "method": "ωB97M-V/def2-TZVPD", "total_charge": 0, "homo_lumo_gap_ha": 0.4001, "e_above_lowest_kcal_mol": 46.10, "homo_ev": -10.07, "elements": ["C", "O", "H", "H", "H", "H", "C", "C", "C", "O", "H", "H", "H", "H", "H", "H", "H", "H"], "coordinates": [[0.83, 1.02, -2.69], [1.39, -0.11, -3.41], [0.92, -0.95, -3.28], [0.86, 1.13, -1.65], [-0.33, 1.06, -2.94], [1.38, 1.83, -3.14], [-0.21, -0.16, 1.02], [-0.98, 0.72, 2.10], [0.59, -1.41, 1.53], [-1.10, -0.72, -0.02], [0.30, 0.45, 0.28], [-1.09, 1.69, 1.68], [0.04, -2.23, 1.21], [1.56, -1.39, 1.20], [0.45, -1.46, 2.63], [-2.09, -0.81, 0.19], [-0.52, 0.97, 3.07], [-1.99, 0.38, 2.23]]}

{"formula": "C2H4CdO", "method": "ωB97M-V/def2-TZVPD", "total_charge": 2, "homo_lumo_gap_ha": [0.1722, 0.1479], "homo_ev": [-18.41, -17.91], "elements": ["O", "Cd", "C", "C", "H", "H", "H", "H"], "coordinates": [[-1.12, 1.01, 0.33], [-2.22, 2.18, 1.39], [-0.33, 0.12, 0.26], [0.13, -1.06, -0.13], [-0.30, -1.48, -1.05], [0.64, -1.66, 0.62], [1.47, 0.83, -0.58], [1.74, 0.06, -0.84]]}
........

• Request:
Work out how many lines earlier on have the word "def2-TZVPD" in them; a number is enough, please.

• Result:
2